### Brief
Next, type out the material underneath from the first line to the one with "13.46" verbatim.

### Excerpt
/*
Theoretical X-ray diffraction stick pattern
Compound: La2MgSe4
Radiation: CuKα
Structure: a cell relaxed with PBE
Neutral-atom scattering factors, no anomalous dispersion.

Structural model:
Cell lengths 12.152, 12.152, 12.152 Å; angles 90.00, 90.00, 90.00 degrees
Space group Fd-3m (No. 227, origin choice 2)
Unique sites:
La  0.000  0.000  0.000 [16 per cell]
Mg  0.125  0.125  0.625 [8 per cell]
Se  0.002  0.002  0.248 [32 per cell]

Main lines, in order of rising 2θ (10° ≤ 2θ ≤ 90°):
hkl  2θ (°)  I/Imax
1 1 1  12.62  45.8
3 1 1  24.29  47.5
4 0 0  29.40  100.0
5 1 1  38.49  20.8
4 4 0  42.06  88.8
4 4 4  52.14  26.4
8 4 0  69.14  33.7
8 4 4  76.86  29.5

Theoretical X-ray diffraction stick pattern
Compound: Mg14ZrV
Radiation: CuKα
Structure: a cell relaxed with PBE
Neutral-atom scattering factors, no anomalous dispersion.

Structural model:
Cell lengths 6.3744, 6.3744, 10.1505 Å; angles 90.00, 90.00, 120.00 degrees
Space group P-6m2 (No. 187)
Unique sites:
Mg  0.0000  0.0000  0.2473 [2 per cell]
Mg  0.0075  0.5038  0.2524 [6 per cell]
Mg  0.3346  0.1673  0.5000 [3 per cell]
Mg  0.3392  0.1696  0.0000 [3 per cell]
Zr  0.3333  0.6667  0.0000 [1 per cell]
V  0.3333  0.6667  0.5000 [1 per cell]

Main lines, in order of rising 2θ (10° ≤ 2θ ≤ 90°):
hkl  2θ (°)  I/Imax
1 0 0  16.06  20.1
2 0 0  32.44  26.4
0 0 4  35.37  25.1
2 0 2  37.08  100.0
2 0 4  48.75  16.0
2 2 0  57.86  17.0
2 0 6  64.62  18.3
2 2 4  69.67  18.7

Theoretical X-ray diffraction stick pattern
Compound: OsBr4
Radiation: CuKα
Structure: a cell relaxed with PBE
Neutral-atom scattering factors, no anomalous dispersion.

Structural model:
Cell lengths 6.433, 13.144, 15.464 Å; angles 90.00, 90.00, 90.00 degrees
Space group Pbca (No. 61)
Unique sites:
Os  0.097  0.129  0.184 [8 per cell]
Br  0.049  0.745  0.422 [8 per cell]
Br  0.075  0.733  0.194 [8 per cell]
Br  0.231  0.524  0.306 [8 per cell]
Br  0.241  0.013  0.078 [8 per cell]

Main lines, in order of rising 2θ (10° ≤ 2θ ≤ 90°):
hkl  2θ (°)  I/Imax
0 0 2  11.44  45.4
0 2 1  14.65  100.0
1 1 2  19.18  22.7
1 2 4  30.20  35.2
2 2 0  30.94  29.1
1 3 4  33.92  32.5
1 5 4  43.97  16.8
3 0 4  48.55  22.0

Theoretical X-ray diffraction stick pattern
Compound: Na2Sb3O8
Radiation: CuKα
Structure: a cell relaxed with PBE
Neutral-atom scattering factors, no anomalous dispersion.

Structural model:
Cell lengths 9.303, 9.303, 9.303 Å; angles 90.00, 90.00, 90.00 degrees
Space group P4_332 (No. 212)
Unique sites:
Na  0.008  0.008  0.008 [8 per cell]
Sb  0.119  0.131  0.625 [12 per cell]
O  0.082  0.146  0.407 [24 per cell]
O  0.113  0.613  0.887 [8 per cell]

Main lines, in order of rising 2θ (10° ≤ 2θ ≤ 90°):
hkl  2θ (°)  I/Imax
1 1 0  13.46  56.2
1 1 1  16.50  100.0
2 1 0  21.36  53.7
3 1 1  31.91  93.4
2 2 2  33.36  39.3
4 0 0  38.72  52.2
5 1 1  51.01  37.8
4 4 0  55.91  45.3

Theoretical X-ray diffraction stick pattern
Compound: RbPH2O4
Radiation: CuKα
Structure: a cell relaxed with PBE
Neutral-atom scattering factors, no anomalous dispersion.

Structural model:
Cell lengths 4.902, 6.217, 7.546 Å; angles 90.00, 108.14, 90.00 degrees
Space group P2_1/m (No. 11)
Unique sites:
Rb  0.209  0.250  0.257 [2 per cell]
P  0.296  0.250  0.752 [2 per cell]
H  0.179  0.750  0.381 [2 per cell]
H  0.500  0.000  0.000 [2 per cell]
O  0.005  0.250  0.583 [2 per cell]
O  0.291  0.045  0.870 [4 per cell]
O  0.462  0.750  0.334 [2 per cell]

Main lines, in order of rising 2θ (10° ≤ 2θ ≤ 90°):
hkl  2θ (°)  I/Imax
1 1 0  23.87  100.0
0 0 2  24.83  44.8
0 2 0  28.72  34.4
1 1 -2  29.97  50.8
1 2 -1  34.78  16.9
0 2 2  38.32  26.9
2 0 -2  38.98  49.2
0 4 0  59.50  14.7

Theoretical X-ray diffraction stick pattern
Compound: Sc3NiC4
Radiation: CuKα
Structure: a cell relaxed with PBE
Neutral-atom scattering factors, no anomalous dispersion.

Structural model:
Cell lengths 3.452, 4.373, 11.898 Å; angles 90.00, 90.00, 90.00 degrees
Space group Immm (No. 71)
Unique sites:
Sc  0.000  0.000  0.000 [2 per cell]
Sc  0.000  0.500  0.187 [4 per cell]
*/

### Solution
Theoretical X-ray diffraction stick pattern
Compound: La2MgSe4
Radiation: CuKα
Structure: a cell relaxed with PBE
Neutral-atom scattering factors, no anomalous dispersion.

Structural model:
Cell lengths 12.152, 12.152, 12.152 Å; angles 90.00, 90.00, 90.00 degrees
Space group Fd-3m (No. 227, origin choice 2)
Unique sites:
La  0.000  0.000  0.000 [16 per cell]
Mg  0.125  0.125  0.625 [8 per cell]
Se  0.002  0.002  0.248 [32 per cell]

Main lines, in order of rising 2θ (10° ≤ 2θ ≤ 90°):
hkl  2θ (°)  I/Imax
1 1 1  12.62  45.8
3 1 1  24.29  47.5
4 0 0  29.40  100.0
5 1 1  38.49  20.8
4 4 0  42.06  88.8
4 4 4  52.14  26.4
8 4 0  69.14  33.7
8 4 4  76.86  29.5

Theoretical X-ray diffraction stick pattern
Compound: Mg14ZrV
Radiation: CuKα
Structure: a cell relaxed with PBE
Neutral-atom scattering factors, no anomalous dispersion.

Structural model:
Cell lengths 6.3744, 6.3744, 10.1505 Å; angles 90.00, 90.00, 120.00 degrees
Space group P-6m2 (No. 187)
Unique sites:
Mg  0.0000  0.0000  0.2473 [2 per cell]
Mg  0.0075  0.5038  0.2524 [6 per cell]
Mg  0.3346  0.1673  0.5000 [3 per cell]
Mg  0.3392  0.1696  0.0000 [3 per cell]
Zr  0.3333  0.6667  0.0000 [1 per cell]
V  0.3333  0.6667  0.5000 [1 per cell]

Main lines, in order of rising 2θ (10° ≤ 2θ ≤ 90°):
hkl  2θ (°)  I/Imax
1 0 0  16.06  20.1
2 0 0  32.44  26.4
0 0 4  35.37  25.1
2 0 2  37.08  100.0
2 0 4  48.75  16.0
2 2 0  57.86  17.0
2 0 6  64.62  18.3
2 2 4  69.67  18.7

Theoretical X-ray diffraction stick pattern
Compound: OsBr4
Radiation: CuKα
Structure: a cell relaxed with PBE
Neutral-atom scattering factors, no anomalous dispersion.

Structural model:
Cell lengths 6.433, 13.144, 15.464 Å; angles 90.00, 90.00, 90.00 degrees
Space group Pbca (No. 61)
Unique sites:
Os  0.097  0.129  0.184 [8 per cell]
Br  0.049  0.745  0.422 [8 per cell]
Br  0.075  0.733  0.194 [8 per cell]
Br  0.231  0.524  0.306 [8 per cell]
Br  0.241  0.013  0.078 [8 per cell]

Main lines, in order of rising 2θ (10° ≤ 2θ ≤ 90°):
hkl  2θ (°)  I/Imax
0 0 2  11.44  45.4
0 2 1  14.65  100.0
1 1 2  19.18  22.7
1 2 4  30.20  35.2
2 2 0  30.94  29.1
1 3 4  33.92  32.5
1 5 4  43.97  16.8
3 0 4  48.55  22.0

Theoretical X-ray diffraction stick pattern
Compound: Na2Sb3O8
Radiation: CuKα
Structure: a cell relaxed with PBE
Neutral-atom scattering factors, no anomalous dispersion.

Structural model:
Cell lengths 9.303, 9.303, 9.303 Å; angles 90.00, 90.00, 90.00 degrees
Space group P4_332 (No. 212)
Unique sites:
Na  0.008  0.008  0.008 [8 per cell]
Sb  0.119  0.131  0.625 [12 per cell]
O  0.082  0.146  0.407 [24 per cell]
O  0.113  0.613  0.887 [8 per cell]

Main lines, in order of rising 2θ (10° ≤ 2θ ≤ 90°):
hkl  2θ (°)  I/Imax
1 1 0  13.46  56.2